Input:
'''
# 1
# Na14Mn2O9 meta-GGA r2SCAN optimized geometry
# Space-group type: P3
# M_tot (Bohr magnetons per cell): 10.000
data_Na14Mn2O9
_space_group_name_H-M_alt 'P 1'
_space_group_IT_number 1
_space_group_name_Hall 'P 1'
_cell_length_a 6.6015
_cell_length_b 6.6015
_cell_length_c 9.2485
_cell_angle_alpha 90.00
_cell_angle_beta 90.00
_cell_angle_gamma 120.00
loop_
_atom_site_label
_atom_site_fract_x
_atom_site_fract_y
_atom_site_fract_z
Na1 0.0000 0.0000 0.2518
Na2 0.0000 0.0000 0.7474
Na3 0.0663 0.3764 0.5923
Na4 0.6236 0.6900 0.5923
Na5 0.3100 0.9336 0.5923
Na6 0.9333 0.6240 0.4099
Na7 0.3760 0.3092 0.4099
Na8 0.6908 0.0668 0.4099
Na9 0.6790 0.6399 0.0906
Na10 0.3601 0.0391 0.0906
Na11 0.9609 0.3210 0.0906
Na12 0.3209 0.3604 0.9079
Na13 0.6396 0.9605 0.9079
Na14 0.0396 0.6791 0.9079
Mn1 0.3333 0.6667 0.2627
Mn2 0.6666 0.3333 0.7377
O1 0.3333 0.6667 0.0385
O2 0.6667 0.3333 0.9595
O3 0.0000 0.0000 0.9993
O4 0.9468 0.6424 0.6627
O5 0.3576 0.3044 0.6627
O6 0.6956 0.0532 0.6627
O7 0.0530 0.3577 0.3376
O8 0.6423 0.6954 0.3375
O9 0.3046 0.9470 0.3375

---

# 2
# NaMn2O4 meta-GGA r2SCAN optimized geometry
# Space-group type: P-1
# M_tot (Bohr magnetons per cell): 5.001
data_NaMn2O4
_space_group_name_H-M_alt 'P 1'
_space_group_IT_number 1
_space_group_name_Hall 'P 1'
_cell_length_a 2.8665
_cell_length_b 4.8741
_cell_length_c 5.7290
_cell_angle_alpha 107.15
_cell_angle_beta 90.12
_cell_angle_gamma 89.99
loop_
_atom_site_label
_atom_site_fract_x
_atom_site_fract_y
_atom_site_fract_z
Na1 0.5000 0.0000 0.5000
Mn1 0.0000 0.0000 0.0000
Mn2 0.5000 0.5000 0.0000
O1 0.4992 0.7755 0.8184
O2 0.9993 0.2668 0.8121
O3 0.0007 0.7332 0.1879
O4 0.5008 0.2245 0.1816

---

# 3
# Na6MnO4 meta-GGA r2SCAN optimized geometry
# M_tot (Bohr magnetons per cell): 20.000
data_Na6MnO4
_space_group_name_H-M_alt 'P 1'
_space_group_IT_number 1
_space_group_name_Hall 'P 1'
_cell_length_a 5.8427
_cell_length_b 7.6076
_cell_length_c 13.1797
_cell_angle_alpha 90.00
_cell_angle_beta 90.00
_cell_angle_gamma 90.00
loop_
_atom_site_label
_atom_site_fract_x
_atom_site_fract_y
_atom_site_fract_z
Na1 0.1423 0.5000 0.0379
Na2 0.1423 0.0000 0.5379
Na3 0.6426 0.1932 0.2693
Na4 0.6426 0.6932 0.7693
Na5 0.1426 0.6932 0.2307
Na6 0.1426 0.1932 0.7307
Na7 0.1426 0.3068 0.2307
Na8 0.1426 0.8068 0.7307
Na9 0.6426 0.8068 0.2693
Na10 0.6426 0.3068 0.7693
Na11 0.6423 0.0000 0.4621
Na12 0.6423 0.5000 0.9621
Na13 0.9737 0.7100 0.4301
Na14 0.9737 0.2100 0.9301
Na15 0.4737 0.2100 0.0699
Na16 0.4737 0.7100 0.5699
Na17 0.4741 0.5000 0.3594
Na18 0.4741 0.0000 0.8594
Na19 0.4737 0.7900 0.0699
Na20 0.4737 0.2900 0.5699
Na21 0.9737 0.2900 0.4301
Na22 0.9737 0.7900 0.9301
Na23 0.9741 0.0000 0.1406
Na24 0.9741 0.5000 0.6406
Mn1 0.7478 0.0000 0.6668
Mn2 0.2478 0.5000 0.8332
Mn3 0.7478 0.5000 0.1668
Mn4 0.2478 0.0000 0.3332
O1 0.4054 0.5000 0.1667
O2 0.4054 0.0000 0.6667
O3 0.9054 0.0000 0.3333
O4 0.9054 0.5000 0.8333
O5 0.3639 0.7807 0.4064
O6 0.3639 0.2807 0.9064
O7 0.8639 0.2807 0.0936
O8 0.8639 0.7807 0.5936
O9 0.8642 0.5000 0.3130
O10 0.8642 0.0000 0.8130
O11 0.3642 0.0000 0.1870
O12 0.3642 0.5000 0.6870
O13 0.3639 0.2193 0.4064
O14 0.3639 0.7193 0.9064
O15 0.8639 0.7193 0.0936
O16 0.8639 0.2193 0.5936

---

# 4
# Na2MnO2 meta-GGA r2SCAN optimized geometry
# Space-group type: C2/c
# M_tot (Bohr magnetons per cell): 0.000
data_Na2MnO2
_space_group_name_H-M_alt 'P 1'
_space_group_IT_number 1
_space_group_name_Hall 'P 1'
_cell_length_a 6.0842
_cell_length_b 8.5775
_cell_length_c 8.5775
_cell_angle_alpha 86.89
_cell_angle_beta 69.59
_cell_angle_gamma 69.59
loop_
_atom_site_label
_atom_site_fract_x
_atom_site_fract_y
_atom_site_fract_z
Na1 0.2500 0.9380 0.0620
Na2 0.7500 0.0620 0.9380
Na3 0.7500 0.8009 0.1991
Na4 0.2500 0.1991 0.8009
Na5 0.7364 0.4023 0.9960
Na6 0.7636 0.0040 0.5977
Na7 0.2636 0.5977 0.0040
Na8 0.2364 0.9960 0.4023
Na9 0.2281 0.3236 0.4688
Na10 0.7719 0.6764 0.5312
Na11 0.7281 0.4688 0.3236
Na12 0.2719 0.5312 0.6764
Mn1 0.2500 0.6791 0.3209
Mn2 0.2568 0.2892 0.1319
Mn3 0.2432 0.8681 0.7108
'''
Exercise:
Next, reproduce every line above that contains the word "optimized".
Reply:
# Na14Mn2O9 meta-GGA r2SCAN optimized geometry
# NaMn2O4 meta-GGA r2SCAN optimized geometry
# Na6MnO4 meta-GGA r2SCAN optimized geometry
# Na2MnO2 meta-GGA r2SCAN optimized geometry